What is Challenges of Modernity?

The Core program at Colgate University requires all students to enroll in Legacies of the Ancient World, a Scientific Perspectives class, Communities and Identities class, and Challenges of Modernity. At the beginning of the semester, family members and friends from other universities asked me what the class Challenges of Modernity was about; I honestly had no clue, I mean I was only taking the class because I have too. I assumed the class would have something to do with living in the twenty-first century, the most modern era. Except we started the semester reading about Du Bois, so this is clearly not a class about the twenty-first century. Du Bois, in The Souls of Black Folk, wrote about the struggles of modernization after the slavery was abolished in America in 1933 or the Challenges of Modernity – wink, wink.


Next we read Ta-Nehisi Coates’ memoir Between the World and Me. The memoir was written as a letter to his teenage son; it was published in 2015 (the twenty-first century). I believe the importance of reading this text immediately after Du Bois is to highlight black Americans’ continual fight for equality in today’s society. The third major piece we studied was Virginia Woolf’s Mrs. Dalloway, published in 1925. The text focused on the stigma placed upon people with mental illness. Woolf herself struggled with mental illness similarly to the character in the book Septimus Smith. Similar to the struggle within the African American community to achieve equality, though society is advancing the stigma about mental remains largely the same; I talk about this in my post “It’s OK Not To Be OK.”After talking about Mrs. Dalloway and mental, the course transitioned to Sigmund Freud’s Civilization and Its Discontents where Freud explores why civilization leads to unhappiness.

Karl Marx in the “Communist Manifesto” critiques civilization and capitalism. Marx wanted to implement communism instead of capitalism to create equality amongst all citizens. Capitalism allows for veiled slavery distant from the consumer to produce the cheapest product. Kevin Bales does an interview with NPR about modern slavery; I wrote more about this in my blog post “Modern Day Slavery.” We read numerous other texts about the challenges of civilization and advancement. The course Challenges of Modernity is not about living in the modern era or twenty-first century, but the obstacles we face in the process of advancement. Even though some of the obstacles have not been fully resolved, studying these texts have given me a new outlook on the future. Though progress is not easy, it is possible.

*Kanye Shrug, featured image

Good? Bad? Evil?

In class, Professor Briley asked us how we defined good, bad, and evil. My understanding of what is good, bad, and evil mostly comes from what my parents have taught me. Professor Briley asked us to craft definitions as if we were explaining these values to a child; everyone in the class had very similar definitions for good, bad, and evil. The best I could come up with was:

Good: Something that you would not mind someone else doing to you or something that benefits a greater amount of people than the alternative. For example sharing is good because you would want someone to share with you and sharing benefits a greater amount of people than being selfish.

Bad: Something that is wrong, but it is not detrimental to a numerous amount of people only to the person doing the action. For example lying to your parents is bad and disrespectful because they are only trying to protect you from harm.

Calculated crystals, as found in the file >
Entry 1:
Starting from a structure optimized by DFT (PBE), the PXRD pattern of Ce2USb3 was calculated for Cu Kα, 1.54184 Å.
Peak positions follow from Bragg's law for the DFT cell and can differ from measured ones.

Structural model:
abc: 4.460 4.460 18.904
angles: 90.00 90.00 90.00
Space group I4/mmm (No. 139)
One atom of each set of equivalent atoms:
Ce 0.000 0.000 0.167 [4 per cell]
U 0.000 0.000 0.500 [2 per cell]
Sb 0.000 0.000 0.000 [2 per cell]
Sb 0.000 0.000 0.335 [4 per cell]

The 12 most intense peaks (15° ≤ 2θ ≤ 90°), low angle first:
| d [Å] | I/Imax |
| --- | --- |
| 4.341 | 3 |
| 3.641 | 5 |
| 3.153 | 100 |
| 2.992 | 1 |
| 2.229 | 77 |
| 1.901 | 3 |
| 1.820 | 28 |
| 1.576 | 13 |
| 1.447 | 1 |
| 1.410 | 36 |
| 1.287 | 26 |
| 1.115 | 9 |


Entry 2:
Starting from a structure optimized by DFT (PBE), the PXRD pattern of Dy4HgPb3 was calculated for Cu Kα, 1.54184 Å.
Peak positions follow from Bragg's law for the DFT cell and can differ from measured ones.

Structural model:
abc: 4.446 4.459 11.613
angles: 90.00 90.00 90.00
Space group Pmm2 (No. 25)
One atom of each set of equivalent atoms:
Dy 0.000 0.000 0.000 [1 per cell]
Dy 0.000 0.500 0.493 [1 per cell]
Dy 0.500 0.000 0.730 [1 per cell]
Dy 0.500 0.500 0.231 [1 per cell]
Hg 0.000 0.000 0.267 [1 per cell]
Pb 0.000 0.500 0.761 [1 per cell]
Pb 0.500 0.000 0.453 [1 per cell]
Pb 0.500 0.500 0.963 [1 per cell]

The 12 most intense peaks (15° ≤ 2θ ≤ 90°), low angle first:
| d [Å] | I/Imax |
| --- | --- |
| 3.039 | 100 |
| 2.903 | 39 |
| 2.443 | 85 |
| 2.431 | 13 |
| 2.229 | 26 |
| 2.223 | 25 |
| 1.767 | 37 |
| 1.574 | 17 |
| 1.468 | 13 |
| 1.384 | 17 |
| 1.325 | 13 |
| 1.322 | 13 |


Entry 3:
Starting from a structure optimized by DFT (PBE), the PXRD pattern of HoEr2ScO6 was calculated for Cu Kα, 1.54184 Å.
Peak positions follow from Bragg's law for the DFT cell and can differ from measured ones.

Structural model:
abc: 5.6613 5.6613 14.8635
angles: 90.00 90.00 120.00
Space group R3 (No. 146, hexagonal axes)
One atom of each set of equivalent atoms:
Ho 0.0000 0.0000 0.0000 [3 per cell]
Er 0.0000 0.0000 0.2807 [3 per cell]
Er 0.0000 0.0000 0.7832 [3 per cell]
Sc 0.0000 0.0000 0.4949 [3 per cell]
O 0.0423 0.3546 0.5571 [9 per cell]
O 0.0482 0.6703 0.0599 [9 per cell]

The 12 most intense peaks (15° ≤ 2θ ≤ 90°), low angle first:
| d [Å] | I/Imax |
| --- | --- |
| 4.656 | 17 |
| 4.092 | 29 |
| 2.961 | 100 |
| 2.831 | 93 |
| 2.046 | 41 |
| 1.864 | 31 |
| 1.737 | 14 |
| 1.658 | 40 |
| 1.634 | 27 |
| 1.422 | 11 |
| 1.415 | 12 |
| 1.277 | 15 |

Evil: Something that is bad and conducted with malicious intent to hurt a large amount of people.

Someone pasted materials data at this point:
~~~
(1)
Starting from a DFT-relaxed cell (PBE, Alexandria), the X-ray powder pattern of ZrAsRu2 was computed for Cu Kα (λ = 1.5418 Å).

Top 10 peaks for 10 to 80 degrees two-theta, in order of rising 2θ:
- 2θ = 33.37°, intensity 10
- 2θ = 36.78°, intensity 100
- 2θ = 40.89°, intensity 61
- 2θ = 44.34°, intensity 48
- 2θ = 46.90°, intensity 25
- 2θ = 50.50°, intensity 12
- 2θ = 58.63°, intensity 13
- 2θ = 66.51°, intensity 28
- 2θ = 73.95°, intensity 20
- 2θ = 78.24°, intensity 11

Atomic structure:
Cell lengths 3.149, 3.874, 5.370 Å; angles 90.00, 90.00, 90.00 degrees
Element x y z (fractional)
Zr1 0.000 0.000 0.000
As1 0.500 0.500 0.320
Ru1 0.000 0.000 0.482
Ru2 0.500 0.500 0.795



(2)
Starting from a DFT-relaxed cell (PBE, Alexandria), the X-ray powder pattern of AgBr2F8 was computed for Cu Kα (λ = 1.5418 Å).

Top 10 peaks for 10 to 80 degrees two-theta, in order of rising 2θ:
- 2θ = 23.40°, intensity 100
- 2θ = 30.34°, intensity 52
- 2θ = 38.67°, intensity 29
- 2θ = 44.23°, intensity 31
- 2θ = 49.92°, intensity 24
- 2θ = 51.34°, intensity 12
- 2θ = 53.90°, intensity 10
- 2θ = 60.81°, intensity 14
- 2θ = 63.11°, intensity 13
- 2θ = 63.73°, intensity 10

Atomic structure:
Cell lengths 5.892, 5.892, 5.696 Å; angles 90.00, 90.00, 120.00 degrees
Element x y z (fractional)
Ag1 0.000 0.000 0.000
Br1 0.333 0.667 0.460
Br2 0.667 0.333 0.540
F1 0.164 0.329 0.227
F2 0.164 0.836 0.227
F3 0.329 0.164 0.773
F4 0.333 0.667 0.778
F5 0.667 0.333 0.222
F6 0.671 0.836 0.227
F7 0.836 0.164 0.773
F8 0.836 0.671 0.773



(3)
Starting from a DFT-relaxed cell (PBE, Alexandria), the X-ray powder pattern of PdIF was computed for Cu Kα (λ = 1.5418 Å).

Top 10 peaks for 10 to 80 degrees two-theta, in order of rising 2θ:
- 2θ = 13.71°, intensity 100
- 2θ = 26.17°, intensity 32
- 2θ = 30.73°, intensity 88
- 2θ = 36.52°, intensity 39
- 2θ = 38.53°, intensity 97
- 2θ = 46.45°, intensity 29
- 2θ = 46.95°, intensity 31
- 2θ = 50.39°, intensity 16
- 2θ = 54.16°, intensity 25
- 2θ = 60.69°, intensity 14

Atomic structure:
Cell lengths 4.273, 4.669, 6.489 Å; angles 90.00, 95.53, 90.00 degrees
Element x y z (fractional)
Pd1 0.150 0.250 0.422
Pd2 0.850 0.750 0.578
I1 0.387 0.750 0.283
I2 0.613 0.250 0.717
F1 0.189 0.750 0.819
F2 0.811 0.250 0.181



(4)
Starting from a DFT-relaxed cell (PBE, Alexandria), the X-ray powder pattern of Pr2Sm2Mg3 was computed for Cu Kα (λ = 1.5418 Å).

Top 10 peaks for 10 to 80 degrees two-theta, in order of rising 2θ:
- 2θ = 10.13°, intensity 42
- 2θ = 13.65°, intensity 30
- 2θ = 28.65°, intensity 90
- 2θ = 29.08°, intensity 65
- 2θ = 29.72°, intensity 31
- 2θ = 30.75°, intensity 100
- 2θ = 31.54°, intensity 87
- 2θ = 32.13°, intensity 53
- 2θ = 34.78°, intensity 35
- 2θ = 41.80°, intensity 29

Atomic structure:
Cell lengths 3.643, 7.026, 9.315 Å; angles 70.83, 78.78, 74.99 degrees
Element x y z (fractional)
Pr1 0.129 0.055 0.186
Pr2 0.871 0.945 0.814
Sm1 0.383 0.271 0.461
Sm2 0.617 0.729 0.539
Mg1 0.166 0.375 0.792
Mg2 0.500 0.500 0.000
~~~
The materials data stop here:

So as you can see, I could not come up comprehensive definitions for good, bad, or evil. When attempting to write these definitions, I found myself referring back to my foundation in Christianity. I was raised in a Christian household and I was taught those values from a young age. In my definition of ‘Good,’ I fell back on the verse Luke 6:31, “Do to others as you would have them do to you,” without realizing it. My example for ‘Bad’ was about disrespecting one’s parents because from a young age everyone is taught to treat their elders with respect, however this principle also comes from the Bible as well. In Exodus 20:12 the fifth commandment in the Ten Commandments is to “honor your father and your mother.” This exercise showed that a majority of my moral code stems from my Christian beliefs. However a majority of Americans have a similar moral code, but not all Americans are raised in a Christian household. Friedrich Nietzsche in On the Genealogy of Morality wanted to trace “what origin our terms good and evil actually have” (Nietzsche 4). He did not believe that morals resulted from human altruism (Nietzsche 6). From the activity Professor Briley had us complete in class it is apparent that within the United States our morals and values come from the Judeo-Christian tradition.
